Entries:
┌──
Entry 1:
# Sc5Cd4Pt2
Computed PXRD pattern, Cu Kα X-rays. Input: a DFT-relaxed cell (GGA-PBE, Alexandria).
Lines closer than 0.1° are merged.

Most intense lines, 2θ = 15–90°, sorted by position:
2θ (°)	Rel. int.
23.08	482
25.17	378
26.69	697
27.61	337
35.57	1000
36.38	568
37.01	977
37.26	591
38.30	369
38.78	957

Atomic structure:
Lattice parameters (Å, degrees): 7.711 17.786 3.340 90.00 90.00 90.00
Fractional coordinates of all 22 atoms:
1 Sc 0.000 0.000 0.000
2 Sc 0.124 0.416 0.000
3 Sc 0.242 0.720 0.000
4 Sc 0.258 0.220 0.000
5 Sc 0.376 0.916 0.000
6 Sc 0.500 0.500 0.000
7 Sc 0.624 0.084 0.000
8 Sc 0.742 0.780 0.000
9 Sc 0.758 0.280 0.000
10 Sc 0.876 0.584 0.000
11 Cd 0.064 0.854 0.500
12 Cd 0.208 0.566 0.500
13 Cd 0.292 0.066 0.500
14 Cd 0.436 0.354 0.500
15 Cd 0.564 0.646 0.500
16 Cd 0.708 0.934 0.500
17 Cd 0.792 0.434 0.500
18 Cd 0.936 0.146 0.500
19 Pt 0.042 0.305 0.500
20 Pt 0.458 0.805 0.500
21 Pt 0.542 0.195 0.500
22 Pt 0.958 0.695 0.500

=====

Entry 2:
# Dy4Tm3Sc4
Computed PXRD pattern, Cu Kα X-rays. Input: a DFT-relaxed cell (GGA-PBE, Alexandria).
Lines closer than 0.1° are merged.

Most intense lines, 2θ = 15–90°, sorted by position:
2θ (°)	Rel. int.
18.18	252
32.12	463
32.87	1000
33.16	395
33.32	758
46.84	326
48.16	184
59.06	187
59.72	193
64.89	221

Atomic structure:
Lattice parameters (Å, degrees): 3.397 5.403 17.348 81.05 84.40 90.00
Fractional coordinates of all 11 atoms:
1 Dy 0.090 0.090 0.319
2 Dy 0.232 0.732 0.036
3 Dy 0.768 0.268 0.964
4 Dy 0.910 0.910 0.681
5 Tm 0.365 0.364 0.772
6 Tm 0.500 0.000 0.500
7 Tm 0.635 0.636 0.228
8 Sc 0.044 0.544 0.411
9 Sc 0.180 0.180 0.139
10 Sc 0.820 0.820 0.861
11 Sc 0.956 0.456 0.589

=====

Entry 3:
# Mg5Se4S
Computed PXRD pattern, Cu Kα X-rays. Input: a DFT-relaxed cell (GGA-PBE, Alexandria).
Lines closer than 0.1° are merged.

Most intense lines, 2θ = 15–90°, sorted by position:
2θ (°)	Rel. int.
28.34	428
32.84	1000
47.11	584
47.19	117
55.91	184
58.58	118
58.68	120
78.39	248
87.57	112
87.71	116

Atomic structure:
Lattice parameters (Å, degrees): 10.214 10.214 10.214 158.26 149.02 38.16
Fractional coordinates of all 10 atoms:
1 Mg 0.000 0.000 0.000
2 Mg 0.202 0.202 0.000
3 Mg 0.406 0.406 0.000
4 Mg 0.594 0.594 0.000
5 Mg 0.798 0.798 0.000
6 Se 0.099 0.599 0.500
7 Se 0.302 0.802 0.500
8 Se 0.698 0.198 0.500
9 Se 0.901 0.401 0.500
10 S 0.500 0.000 0.500

=====

Entry 4:
# TaTi3Te6
Computed PXRD pattern, Cu Kα X-rays. Input: a DFT-relaxed cell (GGA-PBE, Alexandria).
Lines closer than 0.1° are merged.

Most intense lines, 2θ = 15–90°, sorted by position:
2θ (°)	Rel. int.
15.03	269
21.73	367
26.86	1000
34.28	830
35.07	811
40.03	261
41.18	240
42.09	474
49.07	361
58.42	206

Atomic structure:
Lattice parameters (Å, degrees): 8.191 8.191 8.191 87.81 87.81 87.81
Fractional coordinates of all 20 atoms:
1 Ta 0.000 0.000 0.000
2 Ta 0.500 0.500 0.500
3 Ti 0.085 0.613 0.226
4 Ti 0.226 0.085 0.613
5 Ti 0.387 0.774 0.915
6 Ti 0.613 0.226 0.085
7 Ti 0.774 0.915 0.387
8 Ti 0.915 0.387 0.774
9 Te 0.069 0.678 0.890
10 Te 0.110 0.931 0.322
11 Te 0.176 0.409 0.537
12 Te 0.322 0.110 0.931
13 Te 0.409 0.537 0.176
14 Te 0.463 0.824 0.591
15 Te 0.537 0.176 0.409
16 Te 0.591 0.463 0.824
17 Te 0.678 0.890 0.069
18 Te 0.824 0.591 0.463
19 Te 0.890 0.069 0.678
20 Te 0.931 0.322 0.110

=====

This entry pairs a crystal structure of ZnNi with its theoretical XRD peak list. Radiation: copper Kα. Structure: a structure optimized by DFT (GGA-PBE).

Cell and atoms:
Unit cell a=4.2829 b=2.9075 c=4.0344 alpha=90.00 beta=102.07 gamma=90.00
Space group C2/m (No. 12)
Symmetry-distinct sites (fractional):
Zn 0.0000 0.0000 0.0000 x2
Ni 0.0000 0.5000 0.5000 x2

Most intense lines, 10 to 90 degrees two-theta, in order of rising 2θ:
hkl 1 1 -1, 2.160 Å, I 100
hkl 2 0 0, 2.094 Å, I 45
hkl 0 0 2, 1.973 Å, I 37
hkl 1 1 1, 1.943 Å, I 71
hkl 2 0 -2, 1.614 Å, I 19
hkl 0 2 0, 1.454 Å, I 13
hkl 3 1 -1, 1.270 Å, I 16
hkl 1 1 -3, 1.215 Å, I 14
hkl 2 2 0, 1.194 Å, I 13
hkl 0 2 2, 1.170 Å, I 12

=====

(1)
└──

To do:
What is needed: reproduce the whole of the rows above exactly.

Here it is:
Entry 1:
# Sc5Cd4Pt2
Computed PXRD pattern, Cu Kα X-rays. Input: a DFT-relaxed cell (GGA-PBE, Alexandria).
Lines closer than 0.1° are merged.

Most intense lines, 2θ = 15–90°, sorted by position:
2θ (°)	Rel. int.
23.08	482
25.17	378
26.69	697
27.61	337
35.57	1000
36.38	568
37.01	977
37.26	591
38.30	369
38.78	957

Atomic structure:
Lattice parameters (Å, degrees): 7.711 17.786 3.340 90.00 90.00 90.00
Fractional coordinates of all 22 atoms:
1 Sc 0.000 0.000 0.000
2 Sc 0.124 0.416 0.000
3 Sc 0.242 0.720 0.000
4 Sc 0.258 0.220 0.000
5 Sc 0.376 0.916 0.000
6 Sc 0.500 0.500 0.000
7 Sc 0.624 0.084 0.000
8 Sc 0.742 0.780 0.000
9 Sc 0.758 0.280 0.000
10 Sc 0.876 0.584 0.000
11 Cd 0.064 0.854 0.500
12 Cd 0.208 0.566 0.500
13 Cd 0.292 0.066 0.500
14 Cd 0.436 0.354 0.500
15 Cd 0.564 0.646 0.500
16 Cd 0.708 0.934 0.500
17 Cd 0.792 0.434 0.500
18 Cd 0.936 0.146 0.500
19 Pt 0.042 0.305 0.500
20 Pt 0.458 0.805 0.500
21 Pt 0.542 0.195 0.500
22 Pt 0.958 0.695 0.500

=====

Entry 2:
# Dy4Tm3Sc4
Computed PXRD pattern, Cu Kα X-rays. Input: a DFT-relaxed cell (GGA-PBE, Alexandria).
Lines closer than 0.1° are merged.

Most intense lines, 2θ = 15–90°, sorted by position:
2θ (°)	Rel. int.
18.18	252
32.12	463
32.87	1000
33.16	395
33.32	758
46.84	326
48.16	184
59.06	187
59.72	193
64.89	221

Atomic structure:
Lattice parameters (Å, degrees): 3.397 5.403 17.348 81.05 84.40 90.00
Fractional coordinates of all 11 atoms:
1 Dy 0.090 0.090 0.319
2 Dy 0.232 0.732 0.036
3 Dy 0.768 0.268 0.964
4 Dy 0.910 0.910 0.681
5 Tm 0.365 0.364 0.772
6 Tm 0.500 0.000 0.500
7 Tm 0.635 0.636 0.228
8 Sc 0.044 0.544 0.411
9 Sc 0.180 0.180 0.139
10 Sc 0.820 0.820 0.861
11 Sc 0.956 0.456 0.589

=====

Entry 3:
# Mg5Se4S
Computed PXRD pattern, Cu Kα X-rays. Input: a DFT-relaxed cell (GGA-PBE, Alexandria).
Lines closer than 0.1° are merged.

Most intense lines, 2θ = 15–90°, sorted by position:
2θ (°)	Rel. int.
28.34	428
32.84	1000
47.11	584
47.19	117
55.91	184
58.58	118
58.68	120
78.39	248
87.57	112
87.71	116

Atomic structure:
Lattice parameters (Å, degrees): 10.214 10.214 10.214 158.26 149.02 38.16
Fractional coordinates of all 10 atoms:
1 Mg 0.000 0.000 0.000
2 Mg 0.202 0.202 0.000
3 Mg 0.406 0.406 0.000
4 Mg 0.594 0.594 0.000
5 Mg 0.798 0.798 0.000
6 Se 0.099 0.599 0.500
7 Se 0.302 0.802 0.500
8 Se 0.698 0.198 0.500
9 Se 0.901 0.401 0.500
10 S 0.500 0.000 0.500

=====

Entry 4:
# TaTi3Te6
Computed PXRD pattern, Cu Kα X-rays. Input: a DFT-relaxed cell (GGA-PBE, Alexandria).
Lines closer than 0.1° are merged.

Most intense lines, 2θ = 15–90°, sorted by position:
2θ (°)	Rel. int.
15.03	269
21.73	367
26.86	1000
34.28	830
35.07	811
40.03	261
41.18	240
42.09	474
49.07	361
58.42	206

Atomic structure:
Lattice parameters (Å, degrees): 8.191 8.191 8.191 87.81 87.81 87.81
Fractional coordinates of all 20 atoms:
1 Ta 0.000 0.000 0.000
2 Ta 0.500 0.500 0.500
3 Ti 0.085 0.613 0.226
4 Ti 0.226 0.085 0.613
5 Ti 0.387 0.774 0.915
6 Ti 0.613 0.226 0.085
7 Ti 0.774 0.915 0.387
8 Ti 0.915 0.387 0.774
9 Te 0.069 0.678 0.890
10 Te 0.110 0.931 0.322
11 Te 0.176 0.409 0.537
12 Te 0.322 0.110 0.931
13 Te 0.409 0.537 0.176
14 Te 0.463 0.824 0.591
15 Te 0.537 0.176 0.409
16 Te 0.591 0.463 0.824
17 Te 0.678 0.890 0.069
18 Te 0.824 0.591 0.463
19 Te 0.890 0.069 0.678
20 Te 0.931 0.322 0.110

=====

This entry pairs a crystal structure of ZnNi with its theoretical XRD peak list. Radiation: copper Kα. Structure: a structure optimized by DFT (GGA-PBE).

Cell and atoms:
Unit cell a=4.2829 b=2.9075 c=4.0344 alpha=90.00 beta=102.07 gamma=90.00
Space group C2/m (No. 12)
Symmetry-distinct sites (fractional):
Zn 0.0000 0.0000 0.0000 x2
Ni 0.0000 0.5000 0.5000 x2

Most intense lines, 10 to 90 degrees two-theta, in order of rising 2θ:
hkl 1 1 -1, 2.160 Å, I 100
hkl 2 0 0, 2.094 Å, I 45
hkl 0 0 2, 1.973 Å, I 37
hkl 1 1 1, 1.943 Å, I 71
hkl 2 0 -2, 1.614 Å, I 19
hkl 0 2 0, 1.454 Å, I 13
hkl 3 1 -1, 1.270 Å, I 16
hkl 1 1 -3, 1.215 Å, I 14
hkl 2 2 0, 1.194 Å, I 13
hkl 0 2 2, 1.170 Å, I 12

=====

(1)